System: Gynecological: Endometrium: Neoplastic: Papillary Serous Adenocarcinoma
A biopsy of demonstrates the papillary architecture of this neoplasm.
The same biopsy shows diffuse nuclear p53 staining, which supports the diagnosis of a serous carcinoma.
Complex papillary structures are lined by malignant stratified cells. Invasion is present -- look within the papillary cores.
There is widespread invasion into the myometrium. A proliferation of malignant glands creating cleft-like spaces is seen.
Tubulopapillary elongated structures are lined by markedly atypical cells. Note the pleomorphism and prominent nucleoli.
Single cells or clusters of cells become detached from micropapillary tufts and are seen floating between papillae.
This image demonstrates the invasive front. Malignant glands and even single cells are dissecting freely into myometrium, eliciting a prominent desmoplastic response.
Tumor implants (on the left) are seen on the ovary.
Peritoneal washings contain numerous malignant cells.
Higher power reveals pleomorphic cells with abundant clear cytoplasm and prominent nucleoli.
Subsequently, a pleural effusion developed which showed clusters of the same malignant cells.
Serous carcinoma is often papillary in architecture, hence, the term 'papillary serous endometrial carcionma'. These tumors are highly aggressive tumor with an propensity for early peritoneal spread and deep myometrial invasion.
Serous carcinoma is the prototypical "type II endometrial carcinoma" -- these tumors are unrelated to estrogen exposure, occur in postmenopausal women, exhibit p53 alterations and carry a poor prognosis. In contrast, "type I endometrial carcinomas" (of which endometriod adenocarcinoma is the prototype) occurs in younger women (pre- and peri-menopausal), are related to unopposed estrogen exposure, exhibit PTEN and k-RAS mutations, and usually have a better prognosis than type II endometrial carcinomas.1
Microscopically, there is often a complex papillary pattern consisting of broad or slender papillae lined by cells with highly malignant cytologic features (marked pleomorphism, high N/C ratio, hyperchromasia and prominent nucleoli). Mitotic figures, giant tumor cells and psammoma bodies are frequent findings. Unlike endometrioid adenocarcinomas which are graded FIGO 1-3 depending on the amount of solid growth, serous carcinomas are not graded as they are all high grade and aggressive tumors.
(Here the text breaks off for quantum chemistry results)
+++
[1]
C40H115N17O13 | ωB97M-V/def2-TZVPD

Values from the calculation:
Electronic energy in eV: -95292.619
E_LUMO in eV: 0.32
Kohn-Sham gap in eV: 9.091
HOMO level in eV: -8.771

Cartesian coordinates (Å):
C: 1.74 6.67 0.50
C: 2.41 7.46 -0.58
C: 1.75 7.08 -1.86
O: 2.43 7.71 -2.94
C: 1.63 7.75 -4.10
N: 2.40 8.91 -0.34
H: 1.76 5.59 0.33
H: 0.66 6.88 0.67
H: 2.27 6.98 1.41
H: 3.45 7.19 -0.66
H: 0.73 7.47 -1.77
H: 1.71 5.99 -2.07
H: 0.68 8.24 -3.90
H: 1.29 6.76 -4.43
H: 2.24 8.15 -4.89
H: 1.46 9.20 -0.05
H: 2.67 9.36 -1.22
C: 5.29 -5.04 -3.13
C: 3.79 -4.95 -3.25
C: 3.44 -4.97 -4.70
O: 1.98 -4.94 -4.84
C: 1.63 -5.09 -6.24
N: 3.18 -6.00 -2.42
H: 5.65 -6.02 -3.48
H: 5.57 -5.00 -2.10
H: 5.75 -4.40 -3.87
H: 3.35 -4.01 -2.95
H: 3.71 -5.90 -5.20
H: 3.84 -4.11 -5.20
H: 1.98 -6.06 -6.60
H: 2.14 -4.31 -6.80
H: 0.56 -4.97 -6.29
H: 3.55 -6.88 -2.70
H: 2.18 -5.92 -2.45
C: 1.34 -5.41 3.17
C: 1.67 -5.71 1.72
C: 0.42 -5.60 0.86
O: -0.60 -6.35 1.47
C: -1.65 -6.50 0.61
N: 2.73 -4.91 1.20
H: 0.89 -4.43 3.26
H: 2.19 -5.58 3.83
H: 0.58 -6.09 3.54
H: 1.97 -6.77 1.68
H: 0.67 -6.02 -0.14
H: 0.05 -4.57 0.75
H: -1.39 -6.85 -0.42
H: -2.10 -5.53 0.36
H: -2.43 -7.06 1.18
H: 3.60 -5.05 1.68
H: 2.80 -5.17 0.21
C: 6.79 3.08 3.61
C: 5.58 3.99 3.54
C: 4.36 3.20 3.23
O: 3.21 4.04 3.30
C: 2.05 3.42 2.85
N: 5.42 4.79 4.79
H: 7.64 3.79 3.69
H: 6.82 2.49 2.71
H: 6.76 2.55 4.57
H: 5.70 4.71 2.73
H: 4.27 2.45 4.00
H: 4.36 2.75 2.24
H: 1.38 4.21 2.50
H: 1.47 2.91 3.66
H: 2.27 2.65 2.10
H: 4.45 5.13 4.72
H: 5.24 4.14 5.55
C: -5.27 1.94 2.59
C: -5.77 1.33 1.32
C: -7.11 0.84 1.61
O: -7.67 0.15 0.46
C: -9.08 0.12 0.62
N: -5.61 2.17 0.12
H: -4.97 1.18 3.29
H: -6.05 2.59 2.97
H: -4.34 2.44 2.33
H: -5.11 0.44 1.22
H: -7.79 1.69 1.78
H: -7.13 0.11 2.43
H: -9.53 1.04 0.91
H: -9.39 -0.50 1.41
H: -9.37 -0.20 -0.37
H: -5.78 1.53 -0.66
H: -6.29 2.93 0.21
C: 2.27 3.34 -4.90
C: 3.13 3.39 -3.66
C: 3.21 2.04 -3.00
O: 4.03 2.07 -1.87
C: 3.49 2.81 -0.82
N: 4.49 3.89 -3.99
H: 1.22 3.21 -4.56
H: 2.45 2.52 -5.63
H: 2.28 4.29 -5.43
H: 2.72 4.11 -2.97
H: 3.65 1.24 -3.64
H: 2.22 1.75 -2.64
H: 4.02 3.76 -0.69
H: 3.78 2.24 0.06
H: 2.40 2.98 -0.96
H: 4.82 3.33 -4.77
H: 5.10 3.73 -3.21
C: -4.78 0.26 6.02
C: -3.98 -0.98 6.03
C: -2.45 -0.70 5.74
O: -2.29 -0.31 4.45
C: -1.00 0.15 4.19
N: -4.12 -1.76 7.25
H: -4.78 0.91 6.92
H: -5.84 0.06 5.81
H: -4.41 0.90 5.22
H: -4.34 -1.59 5.21
H: -1.87 -1.63 5.84
H: -2.14 0.12 6.38
H: -0.26 -0.61 4.50
H: -0.79 0.94 4.93
H: -0.84 0.49 3.19
H: -3.51 -2.55 7.30
H: -4.02 -1.19 8.09
C: 1.84 -0.36 1.96
C: 0.91 -0.80 0.74
C: 0.61 0.46 -0.07
O: -0.16 1.23 0.76
C: -0.69 2.36 0.04
N: 1.55 -1.72 -0.10
H: 2.74 0.08 1.54
H: 2.14 -1.15 2.67
H: 1.31 0.36 2.59
H: -0.04 -1.09 1.19
H: 0.05 0.30 -1.00
H: 1.56 0.97 -0.31
H: -1.46 2.12 -0.73
H: 0.10 2.90 -0.52
H: -1.18 2.96 0.80
H: 1.54 -2.65 0.28
H: 1.06 -1.69 -1.02
C: -2.83 -2.12 1.02
C: -3.91 -3.02 0.36
C: -5.28 -2.77 0.93
O: -6.11 -3.76 0.43
C: -7.43 -3.41 0.36
N: -3.87 -2.83 -1.09
H: -2.73 -2.36 2.08
H: -3.07 -1.05 0.93
H: -1.85 -2.38 0.56
+++
Another highly distinctive feature is the propensity for the malignant glandular cells to stratify and form tufts. Single cells or collection of cells often detach from the tufts and float freely between the papillae. Although papillary formation is the most frequent architectural pattern, solid sheets of tumor cells, formation of irregular slit-spaces and glandular formations are also common arrangements.2,3
Serous carcinoma is often associated with deep myometrial invasion, however, even when absent, there is still a significant chance that the tumor has spread beyond the uterus. In fact, tumor stage and myometrial invasion has little predictive value when it comes to positive peritoneal washings. Lymphovascular invasion can be extremely subtle as well and requires a thorough and diligent search for tumor clusters within vascular spaces of the serosa, myometrium, ovaries and cervix.
Patients often present with postmenopausal bleeding, but may also present with abnormal cervical cytology, ascites, or a pelvic mass.
Uterine cancers are surgically staged with total hysterectomy, bilateral salpingo-oophorectomy, washings, and pelvic and peri-aortic lymphadenectomy. A careful evaluation of the peritoneum is especially important in papillary serous endometrial adenocarcinoma cases as rates of extrauterine spread are very high even in the presence of disease confined to the endometrium. While radiation therapy has not been shown to be of much benefit, platinum-containing chemotherapy regimens are showing promise.
This tumor is characterized by an aggressive nature and shorter overall survival compared with uterine cancer of endometrioid histology. Local and distant recurrences occur frequently, with extra-pelvic relapses most common. In a study of 129 patients of various stage, 5-year overall survival among all patients was 45.9%. Note that even among patients with no uterine invasion, staging revealed that over one third actually had stage III or IV disease (Slomovitz).
Another study reported a 5 and 10 year survival rates of 27% and 14%, respectively. This study also found that a mixed endometrioid and serous adenocarcinoma has the same poor prognosis as a pure serous adenocarcinoma. Also, serous carcinomas confined to an endometrial polyp behaved aggressively, with myometrial invasion and peritoneal spread.2
♥ Two major types of endometrial carcinomas exist: type I and type II.
♥ Serous carcinoma is the prototype for type II endometrial carcinomas -- these tumors usually occur in post-menopausal women without a history of hyperestrogenism. These neoplasms are aggressive and carry a poor prognosis.
Attached: molecular data.
/*
# 1
The following is a DFT calculation (ωB97M-V/def2-TZVPD) of the molecule C3H4ClF.

As for the HOMO energy: -10.1 eV. Its SMILES is C=C(F)CCl. The calculation puts the molar mass at 94.516 u. The energy above the lowest of the compared OMol25 structures with the same formula, charge and spin is 3.97 kcal/mol.

XYZ file:
```
9
Properties=species:S:1:pos:R:3:mulliken_charge:R:1
C -0.6561 -1.2925 0.0341 -0.76
C 0.3447 -0.4566 0.1663 0.43
F 1.5666 -0.8507 0.5657 -0.26
C 0.3712 1.1573 -0.1138 -0.31
Cl -1.2586 1.7613 -0.3758 -0.18
H -0.5177 -2.3375 0.2502 0.28
H -1.6226 -0.9609 -0.2903 0.25
H 0.7994 1.6358 0.7644 0.28
H 0.9730 1.3438 -1.0008 0.27
```

---

# 2
The following is a DFT calculation (ωB97M-V/def2-TZVPD) of the molecule C3H4ClFS.

As for the HOMO energy: -9.6 eV. Its SMILES is F[C@@H]1[C@H](S)[C@H]1Cl. The calculation puts the molar mass at 126.583 u. The energy above the lowest of the compared OMol25 structures with the same formula, charge and spin is 26.30 kcal/mol.

XYZ file:
```
10
Properties=species:S:1:pos:R:3:mulliken_charge:R:1
F 0.5217 1.9067 -0.5682 -0.28
C -0.2408 0.9680 0.1124 0.22
C 0.2509 -0.4559 0.4058 -0.28
S 1.7324 -1.2034 -0.4430 -0.21
C -0.8963 -0.1685 -0.5271 -0.42
Cl -2.6647 -0.7032 -0.3143 -0.21
H -0.7732 1.4368 0.9420 0.33
H 0.1036 -0.6622 1.4855 0.35
H 2.6304 -0.7829 0.4767 0.14
H -0.6640 -0.3355 -1.5698 0.37
```

---

# 3
The following is a DFT calculation (ωB97M-V/def2-TZVPD) of the molecule C3H4ClN.

As for the HOMO energy: -11.0 eV. Its SMILES is N#CCCCl. The calculation puts the molar mass at 89.525 u. The energy above the lowest of the compared OMol25 structures with the same formula, charge and spin is 6.07 kcal/mol.

XYZ file:
```
9
Properties=species:S:1:pos:R:3:mulliken_charge:R:1
N -2.8661 1.1081 -0.9569 -0.36
C -1.8492 0.6365 -0.7619 0.30
C -0.5507 0.0592 -0.6932 -0.61
C -0.1950 -0.4185 0.8732 -0.40
Cl -0.8753 -2.0979 0.9405 -0.17
H -0.4096 -0.8411 -1.3521 0.31
H 0.1510 0.8099 -1.0513 0.28
H -0.7216 0.2987 1.4487 0.34
H 0.8581 -0.4138 0.8367 0.30
```

----------

No. 1
Entry from OMol25: C25H31LaN3O2 as an isolated structure in a non-equilibrium geometry (ωB97M-V/def2-TZVPD).

Cartesian coordinates (Å):
La  -0.6241  -0.1764  0.3353
C  -4.1570  0.2623  1.9015
C  -2.7161  0.2409  2.3268
C  -1.9359  1.4107  2.2802
C  -0.6549  1.4554  2.8589
C  0.0738  2.7610  2.9728
C  -0.1331  0.2845  3.4210
C  -0.8666  -0.9094  3.4332
C  -0.3215  -2.1377  4.0990
C  -2.1558  -0.9170  2.8896
H  -4.3505  -0.4261  1.0778
H  -4.4533  1.2583  1.5850
H  -4.7875  -0.0365  2.7377
H  -2.3861  2.3332  1.9244
H  0.2467  3.2029  1.9929
H  1.0280  2.6370  3.4781
H  -0.5227  3.4688  3.5470
H  0.8217  0.3264  3.9346
H  0.5130  -1.8963  4.7530
H  0.0176  -2.8560  3.3516
H  -1.0957  -2.6194  4.6921
H  -2.7676  -1.8062  2.9887
C  2.6264  -0.3573  1.2569
C  3.0964  -0.6881  -0.1588
C  2.3166  -1.8788  -0.7299
C  2.9854  0.4543  -1.1447
C  4.0896  0.8114  -1.8971
C  3.9783  1.7141  -2.9396
C  2.7303  2.1963  -3.2877
*/
The molecular data stop here.
♥ Endometrioid endometrial adenocarcinoma is the prototype for type I endometrial carcinomas -- these tumors usually occur in pre or peri-menopausal women with a history of hyperestrogenism. These neoplasms have a predictable pattern of spread and carry a better prognosis compared to type II endometrial carcinomas.
• Fallopian Tube : Papillary Serous Adenocarcinoma
1 Nucci MR, Oliva Esther. Gynecologic Pathology: Foundations in Diagnostic Pathology. Philadelphia, PA: Elsevier: 2009: 248-9.
2 Fletcher CDM, ed. Diagnostic Histopathology of Tumors. 3rd Ed. Philadelphia, PA: Elsevier; 2007: 662-4.
3 Sternberg SS, ed. Diagnostic Surgical Pathology.4th Ed. Philadelphia, PA: Lippincott Williams & Wilkins; 2004: 2482-3.
4 Boruta DM, Gehrig PA, Fader AN et al. Management of women with uterine papillary serous cancer: a Society of Gynecologic Oncology (SGO) review. Gynecol Oncol. 2009 Oct;115(1):142-53.
5 Slomovitz BM et al. Uterine papillary serous carcinoma (UPSC): a single institution review of 129 cases. Gynecol Oncol. 2003 Dec;91(3):463-9.